Contents =
┌──
[1]
VASP calculation (GGA-PBE) on a relaxed structure of Tm3Al3Ga2Co.

Cell lengths 4.222, 6.833, 6.833 Å; angles 120.00, 90.00, 90.00 degrees
Sites, in units of the cell vectors:
Tm  0.000  0.594  0.594
Ga  0.500  0.333  0.667
Co  0.000  0.000  0.000
Al  0.500  0.229  0.229
Tm  0.000  0.406  0.000
Tm  0.000  0.000  0.406
Al  0.500  0.771  0.000
Al  0.500  0.000  0.771
Ga  0.500  0.667  0.333

Summary:
DFT total energy	-4.84	eV per atom
ΔE_f	-0.6398	eV per atom

---

[2]
VASP calculation (GGA-PBE) on a relaxed structure of TmAl2GaCo2.

Cell lengths 4.336, 4.336, 5.502 Å; angles 90.00, 90.00, 90.00 degrees
Sites, in units of the cell vectors:
Co  0.500  0.000  0.000
Al  0.500  0.500  0.252
Ga  0.000  0.000  0.000
Tm  0.000  0.000  0.500
Co  0.000  0.500  0.000
Al  0.500  0.500  0.748

Summary:
DFT total energy	-5.04	eV per atom
ΔE_f	-0.1695	eV per atom

---

[3]
VASP calculation (GGA-PBE) on a relaxed structure of Tm2Al2GaCo5.

Cell lengths 3.179, 9.572, 9.572 Å; angles 90.00, 90.00, 90.00 degrees
Sites, in units of the cell vectors:
Co  0.500  0.061  0.800
Ga  0.000  0.000  0.000
Tm  0.000  0.674  0.174
Co  0.500  0.000  0.500
Co  0.500  0.300  0.561
Co  0.500  0.939  0.200
Tm  0.000  0.326  0.826
Tm  0.000  0.174  0.326
Al  0.000  0.125  0.625
Co  0.500  0.561  0.700
Al  0.000  0.625  0.875
Ga  0.000  0.500  0.500
Co  0.500  0.439  0.300
Al  0.000  0.875  0.375
Al  0.000  0.375  0.125
Co  0.500  0.500  0.000
Co  0.500  0.800  0.939
Tm  0.000  0.826  0.674
Co  0.500  0.700  0.439
Co  0.500  0.200  0.061

Summary:
DFT total energy	-5.76	eV per atom
ΔE_f	-0.2602	eV per atom

---

[4]
VASP calculation (GGA-PBE) on a relaxed structure of Tm2AlGa2Co5.

Cell lengths 3.286, 9.440, 9.440 Å; angles 90.00, 90.00, 90.00 degrees
Sites, in units of the cell vectors:
Co  0.500  0.700  0.438
Co  0.500  0.500  0.000
Ga  0.000  0.375  0.125
Co  0.500  0.938  0.200
Tm  0.000  0.327  0.827
Co  0.500  0.300  0.562
Tm  0.000  0.827  0.673
Al  0.000  0.500  0.500
Co  0.500  0.562  0.700
Co  0.500  0.200  0.062
Co  0.500  0.062  0.800
Co  0.500  0.438  0.300
Tm  0.000  0.673  0.173
Ga  0.000  0.875  0.375
Tm  0.000  0.173  0.327
Co  0.500  0.800  0.938
Co  0.500  0.000  0.500
Ga  0.000  0.625  0.875
Ga  0.000  0.125  0.625
Al  0.000  0.000  0.000

Summary:
DFT total energy	-5.70	eV per atom
ΔE_f	-0.2763	eV per atom

---

[5]
VASP calculation (GGA-PBE) on a relaxed structure of Y2Al2GaCo5.

Cell lengths 3.194, 9.665, 9.665 Å; angles 90.00, 90.00, 90.00 degrees
Sites, in units of the cell vectors:
Ga  0.000  0.500  0.500
Ga  0.000  0.000  0.000
Co  0.500  0.000  0.500
Al  0.000  0.376  0.124
Co  0.500  0.439  0.300
Y  0.000  0.326  0.826
Co  0.500  0.200  0.061
Al  0.000  0.624  0.876
Al  0.000  0.876  0.376
Co  0.500  0.800  0.939
Co  0.500  0.300  0.561
Al  0.000  0.124  0.624
Co  0.500  0.561  0.700
Co  0.500  0.500  0.000
Y  0.000  0.674  0.174
Co  0.500  0.700  0.439
Y  0.000  0.174  0.326
Co  0.500  0.061  0.800
Y  0.000  0.826  0.674
Co  0.500  0.939  0.200

Summary:
DFT total energy	-6.11	eV per atom
ΔE_f	-0.2146	eV per atom

---

[6]
VASP calculation (GGA-PBE) on a relaxed structure of Y2AlGa2Co5.

Cell lengths 3.278, 9.564, 9.564 Å; angles 90.00, 90.00, 90.00 degrees
Sites, in units of the cell vectors:
Al  0.000  0.500  0.500
Ga  0.000  0.625  0.875
Y  0.000  0.826  0.674
Co  0.500  0.061  0.800
Ga  0.000  0.375  0.125
Co  0.500  0.200  0.061
Ga  0.000  0.125  0.625
Co  0.500  0.300  0.561
Co  0.500  0.500  0.000
Co  0.500  0.800  0.939
Y  0.000  0.326  0.826
Ga  0.000  0.875  0.375
Y  0.000  0.174  0.326
Co  0.500  0.439  0.300
Co  0.500  0.700  0.439
Y  0.000  0.674  0.174
Co  0.500  0.561  0.700
Al  0.000  0.000  0.000
Co  0.500  0.000  0.500
Co  0.500  0.939  0.200

Summary:
DFT total energy	-6.06	eV per atom
ΔE_f	-0.2320	eV per atom

---

[7]
VASP calculation (GGA-PBE) on a relaxed structure of AlZnGaCo2.

Cell lengths 4.346, 4.604, 4.346 Å; angles 90.00, 90.00, 90.00 degrees
Sites, in units of the cell vectors:
└──

Brief =
Now set down everything above unchanged.

Outcome =
[1]
VASP calculation (GGA-PBE) on a relaxed structure of Tm3Al3Ga2Co.

Cell lengths 4.222, 6.833, 6.833 Å; angles 120.00, 90.00, 90.00 degrees
Sites, in units of the cell vectors:
Tm  0.000  0.594  0.594
Ga  0.500  0.333  0.667
Co  0.000  0.000  0.000
Al  0.500  0.229  0.229
Tm  0.000  0.406  0.000
Tm  0.000  0.000  0.406
Al  0.500  0.771  0.000
Al  0.500  0.000  0.771
Ga  0.500  0.667  0.333

Summary:
DFT total energy	-4.84	eV per atom
ΔE_f	-0.6398	eV per atom

---

[2]
VASP calculation (GGA-PBE) on a relaxed structure of TmAl2GaCo2.

Cell lengths 4.336, 4.336, 5.502 Å; angles 90.00, 90.00, 90.00 degrees
Sites, in units of the cell vectors:
Co  0.500  0.000  0.000
Al  0.500  0.500  0.252
Ga  0.000  0.000  0.000
Tm  0.000  0.000  0.500
Co  0.000  0.500  0.000
Al  0.500  0.500  0.748

Summary:
DFT total energy	-5.04	eV per atom
ΔE_f	-0.1695	eV per atom

---

[3]
VASP calculation (GGA-PBE) on a relaxed structure of Tm2Al2GaCo5.

Cell lengths 3.179, 9.572, 9.572 Å; angles 90.00, 90.00, 90.00 degrees
Sites, in units of the cell vectors:
Co  0.500  0.061  0.800
Ga  0.000  0.000  0.000
Tm  0.000  0.674  0.174
Co  0.500  0.000  0.500
Co  0.500  0.300  0.561
Co  0.500  0.939  0.200
Tm  0.000  0.326  0.826
Tm  0.000  0.174  0.326
Al  0.000  0.125  0.625
Co  0.500  0.561  0.700
Al  0.000  0.625  0.875
Ga  0.000  0.500  0.500
Co  0.500  0.439  0.300
Al  0.000  0.875  0.375
Al  0.000  0.375  0.125
Co  0.500  0.500  0.000
Co  0.500  0.800  0.939
Tm  0.000  0.826  0.674
Co  0.500  0.700  0.439
Co  0.500  0.200  0.061

Summary:
DFT total energy	-5.76	eV per atom
ΔE_f	-0.2602	eV per atom

---

[4]
VASP calculation (GGA-PBE) on a relaxed structure of Tm2AlGa2Co5.

Cell lengths 3.286, 9.440, 9.440 Å; angles 90.00, 90.00, 90.00 degrees
Sites, in units of the cell vectors:
Co  0.500  0.700  0.438
Co  0.500  0.500  0.000
Ga  0.000  0.375  0.125
Co  0.500  0.938  0.200
Tm  0.000  0.327  0.827
Co  0.500  0.300  0.562
Tm  0.000  0.827  0.673
Al  0.000  0.500  0.500
Co  0.500  0.562  0.700
Co  0.500  0.200  0.062
Co  0.500  0.062  0.800
Co  0.500  0.438  0.300
Tm  0.000  0.673  0.173
Ga  0.000  0.875  0.375
Tm  0.000  0.173  0.327
Co  0.500  0.800  0.938
Co  0.500  0.000  0.500
Ga  0.000  0.625  0.875
Ga  0.000  0.125  0.625
Al  0.000  0.000  0.000

Summary:
DFT total energy	-5.70	eV per atom
ΔE_f	-0.2763	eV per atom

---

[5]
VASP calculation (GGA-PBE) on a relaxed structure of Y2Al2GaCo5.

Cell lengths 3.194, 9.665, 9.665 Å; angles 90.00, 90.00, 90.00 degrees
Sites, in units of the cell vectors:
Ga  0.000  0.500  0.500
Ga  0.000  0.000  0.000
Co  0.500  0.000  0.500
Al  0.000  0.376  0.124
Co  0.500  0.439  0.300
Y  0.000  0.326  0.826
Co  0.500  0.200  0.061
Al  0.000  0.624  0.876
Al  0.000  0.876  0.376
Co  0.500  0.800  0.939
Co  0.500  0.300  0.561
Al  0.000  0.124  0.624
Co  0.500  0.561  0.700
Co  0.500  0.500  0.000
Y  0.000  0.674  0.174
Co  0.500  0.700  0.439
Y  0.000  0.174  0.326
Co  0.500  0.061  0.800
Y  0.000  0.826  0.674
Co  0.500  0.939  0.200

Summary:
DFT total energy	-6.11	eV per atom
ΔE_f	-0.2146	eV per atom

---

[6]
VASP calculation (GGA-PBE) on a relaxed structure of Y2AlGa2Co5.

Cell lengths 3.278, 9.564, 9.564 Å; angles 90.00, 90.00, 90.00 degrees
Sites, in units of the cell vectors:
Al  0.000  0.500  0.500
Ga  0.000  0.625  0.875
Y  0.000  0.826  0.674
Co  0.500  0.061  0.800
Ga  0.000  0.375  0.125
Co  0.500  0.200  0.061
Ga  0.000  0.125  0.625
Co  0.500  0.300  0.561
Co  0.500  0.500  0.000
Co  0.500  0.800  0.939
Y  0.000  0.326  0.826
Ga  0.000  0.875  0.375
Y  0.000  0.174  0.326
Co  0.500  0.439  0.300
Co  0.500  0.700  0.439
Y  0.000  0.674  0.174
Co  0.500  0.561  0.700
Al  0.000  0.000  0.000
Co  0.500  0.000  0.500
Co  0.500  0.939  0.200

Summary:
DFT total energy	-6.06	eV per atom
ΔE_f	-0.2320	eV per atom

---

[7]
VASP calculation (GGA-PBE) on a relaxed structure of AlZnGaCo2.

Cell lengths 4.346, 4.604, 4.346 Å; angles 90.00, 90.00, 90.00 degrees
Sites, in units of the cell vectors: